Karianne Berg
## Calculated molecules, kept here for reference
~~~
This record from the OMol25 dataset describes C8H16N2O3S as an isolated structure at a distorted geometry. The level of theory is ωB97M-V/def2-TZVPD.

Output
Orbital gap   9.7 eV
Maximum force   5.46 eV/A
Spin multiplicity   1
HOMO   -9.31 eV
Total energy   -1047.549799 hartree

CARTESIAN COORDINATES (ANGSTROEM)
1 C 2.319 0.667 0.262
2 C 0.688 0.299 0.226
3 C 3.022 -0.587 -0.406
4 C 4.385 -0.333 -1.310
5 C 3.370 -1.844 0.550
6 C -1.413 -0.084 -0.883
7 C -2.030 1.455 -0.295
8 C -1.715 -1.445 -0.011
9 H 2.224 2.247 1.477
10 H 2.832 0.583 2.301
11 H 2.484 1.428 -0.600
12 H 2.229 -0.661 -1.220
13 H 4.423 0.822 -1.821
14 H 4.336 -1.354 -2.276
15 H 5.363 -0.461 -0.386
16 H 3.410 -2.844 -0.073
17 H 4.559 -1.681 1.063
18 H 2.288 -1.567 1.339
19 H 0.211 0.369 -1.824
20 H -1.695 -0.198 -2.031
21 H -1.119 -1.601 1.061
22 H -1.101 -2.259 -0.703
23 H -3.721 -2.200 1.443
24 H -3.880 0.915 -0.047
25 N 2.845 1.408 1.379
26 N 0.006 0.134 -0.946
27 O 0.055 0.434 1.343
28 O -1.341 2.396 -0.234
29 O -3.328 1.780 -0.232
30 S -3.602 -1.748 0.216

natural (NBO) atomic charge list, values in e, 4 entries: C -0.114; C 0.664; C -0.259; C -0.637



This record from the OMol25 dataset describes one molecule with the formula C8H16N2O3S at a distorted geometry. The level of theory is ωB97M-V/def2-TZVPD.

Output
Orbital gap   9.3 eV
Maximum force   3.02 eV/A
Spin multiplicity   1
HOMO   -9.05 eV
Total energy   -1047.703195 hartree

CARTESIAN COORDINATES (ANGSTROEM)
1 C -0.429 -0.648 0.938
2 C -0.346 0.608 1.279
3 C -0.240 -1.455 -0.298
4 C 0.014 1.462 -0.818
5 C -0.724 1.050 2.698
6 C -0.118 -2.892 0.246
7 C 1.451 2.320 0.920
8 C 1.050 -1.524 -2.346
9 N 0.395 1.488 0.392
10 N 0.930 -0.995 -1.022
11 O -2.545 0.779 -0.389
12 O -1.649 2.784 -1.534
13 O -1.748 0.575 -2.657
14 S -1.746 1.328 -1.439
15 H -0.723 -1.061 1.948
16 H -1.085 -1.342 -0.961
17 H 0.491 2.111 -1.560
18 H -1.361 1.943 2.612
19 H 0.195 1.133 3.337
20 H -1.437 0.216 3.083
21 H 0.723 -2.949 1.029
22 H 0.209 -3.507 -0.690
23 H -1.205 -3.164 0.696
24 H 2.343 2.481 0.219
25 H 1.031 3.320 1.072
26 H 1.756 1.790 1.819
27 H 1.259 -2.615 -2.381
28 H 0.023 -1.330 -2.804
29 H 1.807 -0.939 -3.001
30 H 1.678 -0.967 -0.389

natural (NBO) atomic charge list, values in e, 4 entries: C -0.176; C 0.186; C -0.113; C 0.000



This record from the OMol25 dataset describes a 2-piece molecular cluster, C8H16N3O2S overall. The level of theory is ωB97M-V/def2-TZVPD.

Output
Orbital gap   10.0 eV
Maximum force   0.92 eV/A
Spin multiplicity   1
Charge   +1
HOMO   -12.71 eV
Total energy   -1027.145178 hartree

CARTESIAN COORDINATES (ANGSTROEM)
1 N -1.000 1.311 1.219
2 C 0.435 1.617 1.302
3 C 0.707 2.530 2.438
4 C 1.890 2.729 3.082
5 N 1.648 3.664 4.068
6 C 0.376 4.016 4.035
7 N -0.210 3.344 3.054
8 H -1.080 0.453 0.671
9 H -1.312 1.053 2.150
10 H 1.022 0.714 1.470
11 H 0.784 2.044 0.368
12 H 2.823 2.253 2.873
13 H 2.341 4.006 4.713
14 H -0.099 4.712 4.694
15 H -1.179 3.397 2.774
16 C -0.599 -2.886 -3.839
17 C -0.640 -3.822 -2.622
~~~
Fakultet for lærerutdanning og kunst- og kulturfag
Speech therapy, Aphasia, Adapted education, Special needs education
Bakgrunn: Utdannet allmennlærer og logoped med hovedfag i pedagogikk med fordypninig i spesialpedagogikk. Har erfaring fra skole, PPT, hjerneslagsrehabilitering i spesialisthelsetjenesten og hovedsakelig fra Statped
Kompetanseområde: Logopedi med spesielt fokus på afasi og ervervede hjerneskader
Undervisning/veiledning: Underviser i logopediske emner på logopedutdanning. Underviser i tillegg i kvalitative metoder på master i tilpassa opplæring (Levanger). Veileder masterstudenter på begge disse programmene
STROKE SOCIAL NETWORK SCALE: NORSK OVERSETTELSE OG PILOTERING AV KARTLEGGINGSVERKTØYET SSNS 2024, Norsk tidsskrift for logopedi: Sætherskar, Ida Kristensen; Borgan, Rebekka Walleraunet; Berg, Karianne
Best Practice in Post-Stroke Aphasia Services According to People with Lived Experience. A Modified Nominal Group Technique Study 2023, Aphasiology: Wallace, Sarah J; Anemaat, Lisa; Attard, Michelle; Baker, Caroline; Berg, Karianne; Carragher, Marcella
Overgang barnehage-skole for barn med særskilte behov - en systematisk litterturgjennomgang fra perioden 2015-2021 2023, Spesialpedagogikk: Volum 2 s. 58-71 Festøy, Anne Randi Fagerlid; Berg, Karianne; Sæteren, Anne-Lise; Moen, Torill; Åmot, Ingvild
“I sámifize it...” Preschool in the Centre of South Sámi Language and Culture Learning in Norway 2021, International Research in Early Childhood Education: Volum 11 s. 65-79 Harju-Luukkainen, Heidi Katarina; Berg, Karianne; Kolberg, Asbjørn
Collaborating with parents for South Sámi language learning: A study in an indigenous preschool in Norway Parental Engagement and Early Childhood Education Around the World 2021, Routledge: s. 211-220 Harju-Luukkainen, Heidi Katarina; Berg, Karianne; Kolberg, Asbjørn
Establishing consensus on a definition of aphasia: an e-Delphi study of international aphasia researchers 2020, Aphasiology: Berg, Karianne; Isaksen, Jytte Kjaergaard; Wallace, Sarah J; Cruice, Madeline; Simmons-Mackie, Nina; Worrall, Linda
What do speech–language pathologists describe
as most important when trying to achieve client
participation during aphasia rehabilitation? A
qualitative focus group interview study 2017, International Journal of Speech-Language Pathology: Volum 21 s. 493-503 Berg, Karianne; Askim, Torunn; Rise, Marit By
Experiences of participation in goal setting for people with stroke-induced aphasia in Norway. A qualitative study 2017, Disability and Rehabilitation: Volum 39 s. 1122-1130 Berg, Karianne; Askim, Torunn; Balandin, Susan; Armstrong, Elisabeth; Rise, Marit By
Speech pathologists' experience of involving people with stroke-induced aphasia in clinical decision making during rehabilitation 2016, Disability and Rehabilitation: Volum 38 s. 870-878 Berg, Karianne; Rise, Marit By; Balandin, Susan; Armstrong, Elisabeth; Askim, Torunn
Stroke Social Network Scale - Norway 2024, Berg, Karianne; Sætherskar, Ida Kristensen; Borgan, Rebekka Walleraunet
Tverrfaglig samarbeid rundt stamming i barnehagealder 2024, Berg, Karianne; Hofslundsengen, Hilde Christine; Kirmess, Melanie
“Participation in conversations for individuals with aphasia using AAC” 2023, Skogdal, Signhild; Berg, Karianne
We ask about aphasia, they talk about life (Lightning talk; Short platform presentation) 2023, Haaland-Johansen, Line; Berg, Karianne
Logopeders arbeidssted, fagområder, kompetanse og kompetansebehov 2022, Norsk tidsskrift for logopedi: Skogdal, Signhild; Helland, Wenche Andersen; Morken, Frøydis; Norvik, Monica Irene; Berg, Karianne
Puhetta terveydestä. Kuvatuki terveydenhuollon
keskusteluihin. Avuksi henkilöille, joilla on afasia 2021, Kitzmüller, Gabriele; Berg, Karianne; Haaland-Johansen, Line; Olenik, Dafna
Logopedifagets fremtid 2021, Dagens medisin: Berg, Karianne; Dahl, Trine Lise; Nordvik, Monica; Morken, Frøydis; Helland, Wenche Andersen; Skogdal, Signhild
Samtal om hälsa. Ett visuellt kommunikationsstöd för personer med afasi i samtal med personal inom hälso- och sjukvården 2020, Kitzmüller, Gabriele; Berg, Karianne; Haaland-Johansen, Line; Olenik, Dafna
Conversations about health. Support for health conversations with people who have aphasia 2020, Kitzmüller, Gabriele; Berg, Karianne; Haaland-Johansen, Line; Olenik, Dafna
Metaphorically speaking – Aphasia according to people with aphasia 2020, Berg, Karianne; Haaland-Johansen, Line
The person with aphasia as expert 2019, Berg, Karianne; Haaland-Johansen, Line
"Hvordan føles det å ha kommunikasjonsvansker?" Råd til logopeder fra personer med afasi 2018, Haaland-Johansen, Line; Berg, Karianne
The person with aphasia as text - a field trip in the archive 2018, Aphasiology: Volum 32 s. 105-106 Haaland-Johansen, Line; Berg, Karianne
The person with aphasia as text 2018, Haaland-Johansen, Line; Berg, Karianne
Arbeid med pasientsentrerte mål for rehabilitering 2018, Berg, Karianne
How does Goal Setting Happen? Perspectives from People with Aphasia and their Speech-Language Pathologists 2017, Haley, Katarina; Isaksen, Jytte Kjaergaard; Berg, Karianne
Establishing a consensus on an updated definition of aphasia 2017, Berg, Karianne; Worrall, Linda
Snakk om det! Nytt bildemateriell kalt "Samtaler om helse" 2017, Afasiposten: s. 14-15 Haaland-Johansen, Line; Kitzmüller, Gabriele; Berg, Karianne
Establishing a consensus on an updated definition of aphasia 2016, Berg, Karianne; Worrall, Linda; Wallace, Sarah; Brandenburg, Caitlin; Penn, Claire; Cruice, Madeline
A picture and a thousand words 2016, Haaland-Johansen, Line; Berg, Karianne; Olenik, Dafna; Kitzmüller, Gabriele
Samtaler om helse. En visuell kommunikasjonsveileder til bruk for helsepersonell i samtale med personer med afasi 2016, Kitzmüller, Gabriele; Berg, Karianne; Haaland-Johansen, Line; Olenik, Dafna
Afasi og livskvalitet 2015, Logos. Audiologopædisk Tidsskrift: s. 9-11 Berg, Karianne; Haaland-Johansen, Line
Speech pathologists` experience with client participation for people with aphasia 2015, Berg, Karianne; Rise, Marit By; Balandin, Susan; Armstrong, Elizabeth; Askim, Torunn
Goal setting – the contribution of people with aphasia 2015, Berg, Karianne; Askim, Torunn; Balandin, Susan; Armstrong, Elizabeth; Rise, Marit By
Aphasia in later life Encyclopedia of Geropsychology 2015, Springer: s. 1-7 Worrall, Linda; Rose, Tanya; Brandenburg, Caitlin; Rohde, Alexia; Berg, Karianne; Wallace, Sarah
Client participation in goal-setting and clinical decision making 2014, Berg, Karianne; Rise, Marit By; Balandin, Susan; Armstrong, Elizabeth; Askim, Torunn
Measuring quality of life in aphasia: SAQOL-39 in Norwegian 2011, Berg, Karianne; Haaland-Johansen, Line
Quality of life in aphasia: Norwegian adaptation of SAQOL-39 2010, Berg, Karianne; Haaland-Johansen, Line
Teknologi til nytte eller besvær? Analyse av en afasifaglig e-møteplass 2006, Berg, Karianne; Haaland-Johansen, Line